The following reflection first appeared in February 2010 as part of First Sundays with Phyllis Tickle, a series of monthly blogs written by Tickle and posted on explorefaith from 2008 to 2010.
Someone pasted data records at this point:
-- begin --
Record 1
The following is a DFT calculation (PBE-GGA) of a relaxed Mg6SiSn crystal.

Size of the total moment: 0.00 μB/f.u.
Formation energy from the elements: 0.02 eV per atom

Cell lengths 5.154, 6.084, 11.011 Å; angles 90.00, 90.00, 90.00 degrees
Positions (direct):
Mg 0.000 0.740 0.092
Mg 0.000 0.260 0.092
Mg 0.000 0.000 0.332
Mg 0.500 0.250 0.416
Mg 0.500 0.750 0.416
Mg 0.500 0.000 0.169
Mg 0.000 0.240 0.592
Mg 0.000 0.760 0.592
Mg 0.000 0.500 0.832
Mg 0.500 0.750 0.916
Mg 0.500 0.250 0.916
Mg 0.500 0.500 0.669
Si 0.500 0.500 0.141
Si 0.500 0.000 0.641
Sn 0.000 0.500 0.341
Sn 0.000 0.000 0.841

***

Record 2
The following is a DFT calculation (PBE-GGA) of a relaxed YErSn2Pd4 crystal.

Size of the total moment: 0.00 μB/f.u.
Formation energy from the elements: -0.88 eV per atom

Cell lengths 8.289, 8.289, 8.289 Å; angles 33.73, 33.73, 33.73 degrees
Positions (direct):
Y 0.000 0.000 0.000
Er 0.500 0.500 0.500
Sn 0.250 0.250 0.250
Sn 0.750 0.750 0.750
Pd 0.126 0.126 0.126
Pd 0.375 0.375 0.375
Pd 0.625 0.625 0.625
Pd 0.874 0.874 0.874

***

Record 3
The following is a DFT calculation (PBE-GGA) of a relaxed Mn3SiN4 crystal.

Formation energy from the elements: -0.52 eV per atom
Total energy after the MP2020 corrections: -140.8 eV/cell

Cell lengths 6.399, 5.430, 4.598 Å; angles 90.00, 90.00, 90.00 degrees
Positions (direct):
Mn 0.000 0.230 0.000
Mn 0.225 0.637 0.995
Mn 0.275 0.363 0.495
Mn 0.500 0.770 0.500
Mn 0.725 0.363 0.495
Mn 0.775 0.637 0.995
Si 0.000 0.872 0.521
Si 0.500 0.128 0.021
N 0.000 0.181 0.411
N 0.000 0.873 0.901
N 0.215 0.705 0.405
N 0.285 0.295 0.905
N 0.500 0.127 0.401
N 0.500 0.819 0.911
N 0.715 0.295 0.905
N 0.785 0.705 0.405

***

Record 4
The following is a DFT calculation (PBE-GGA) of a relaxed RbH2SNO3 crystal.

Size of the total moment: 0.00 μB/f.u.
Formation energy from the elements: -1.41 eV per atom
Total energy after the MP2020 corrections: -370.8 eV/cell

Cell lengths 7.549, 7.954, 14.817 Å; angles 90.00, 90.00, 90.00 degrees
Positions (direct):
Rb 0.131 0.142 0.083
Rb 0.131 0.358 0.583
Rb 0.369 0.642 0.083
Rb 0.369 0.858 0.583
Rb 0.631 0.142 0.417
Rb 0.631 0.358 0.917
Rb 0.869 0.642 0.417
Rb 0.869 0.858 0.917
H 0.074 0.527 0.225
H 0.074 0.973 0.725
H 0.091 0.602 0.809
H 0.091 0.898 0.309
H 0.409 0.102 0.809
H 0.409 0.398 0.309
H 0.426 0.027 0.225
H 0.426 0.473 0.725
H 0.574 0.527 0.275
H 0.574 0.973 0.775
H 0.591 0.602 0.691
H 0.591 0.898 0.191
H 0.909 0.102 0.691
H 0.909 0.398 0.191
H 0.926 0.027 0.275
H 0.926 0.473 0.775
S 0.123 0.156 0.363
S 0.123 0.344 0.863
S 0.377 0.656 0.363
S 0.377 0.844 0.863
S 0.623 0.156 0.137
S 0.623 0.344 0.637
S 0.877 0.656 0.137
S 0.877 0.844 0.637
N 0.003 0.509 0.829
N 0.003 0.991 0.329
N 0.497 0.009 0.829
N 0.497 0.491 0.329
N 0.503 0.509 0.671
N 0.503 0.991 0.171
N 0.997 0.009 0.671
N 0.997 0.491 0.171
O 0.007 0.714 0.613
O 0.007 0.786 0.113
O 0.226 0.096 0.441
O 0.226 0.404 0.941
O 0.239 0.208 0.287
O 0.239 0.292 0.787
O 0.261 0.708 0.287
O 0.261 0.792 0.787
O 0.274 0.596 0.441
-- stop --
End of the data records:
Some several weeks ago now, an editor asked me to name the one book I thought should be laid alongside the Bible and read in conjunction with it. My answer was immediate: The Norton Anthology of Poetry. Because he seemed to be a bit taken aback, I decided not to make matters worse by suggesting that what I actually thought was that the Norton should be laid alongside the Hebrew Bible, while alongside the Christian New Testament should be The Norton Anthology of Modern Poetry. It seemed to me that the humor in that observation might be lost in the confusion of the moment.
Anyway, what my colleague wanted, of course, was not so much my choice of companion books but, rather, a few hundred words about the why and wherefore of my choice, whatever it might be. He wanted, in point of fact, a small essay for inclusion in a forthcoming book titled, aptly enough, Besides the Bible – 100 Books Every Christian Should Read.
Now I don’t know as I really think every Christian ... or every non-Christian, for that matter ...should read The Norton Anthology. In fact, I don’t think anybody should ever read a collection of poetry in the first place. Rather, poetry is to be known ... to be lived into, time and time again ... to be heard inside one’s head as the words become more and more a part of breathing and less and less a function of thinking. I didn’t say that, of course. Instead, I just wrote my essay as tribute to, and in grateful acknowledgement of, a grand and substantial book and sent it off to my editor-friend.
But in the course of fashioning those words, I discovered once again the thing I keep forgetting and then, mercifully, keep managing to stumble up against time and time again. That is, I stumbled into realizing all over again just how central beauty is to hope and, thereby, to faith. It may not be, as Keats said, that "beauty is truth, truth beauty." In fact, I rather doubt that it is. But it is true that without beauty, a people perish, whether that people be a polity or a communion of faith or a family of kin. It is only when we gift ourselves and one another with beauty that we escape, however briefly, into what we can be and are becoming...
….which seems to me to be an entirely fitting observation for this first Sunday in the month that, of all of them, most celebrates beauty between us and amongst us.
Postscript: As some of you may already know, this will be the last First Sunday we will have together, at least in this way; and I, for one, am loathe to say adieu.
What started out eighteen months ago as a blog, rapidly turned into a spate of essays, probably because the essay is my writing form of choice. In any event, I am grateful that explorefaith has given me a means and outlet for exercising that predilection over this last year and a half. The measuring of my months and the assessing of them in terms of what struck me about an immediately passing month or filled me with anticipation about an approaching one have not only added a bit of zest to the past year or two. They have also allowed me a sense of contact and connection with many of you. I am grateful for those gifts as well.
The rest of this year, God willing, will see me on the lecture circuit a bit more intensely than has been the case in past years, and 2011 will, again God willing, see me holed up writing a couple of books that seem to want “out.” (Otherwise, I suspect they could and would drive me crazy.) In the midst of some of this, one of the great joys for me will be the production in June and again in August of The Doorway– A Spiritual Phantasmagoria, a liturgical drama commissioned by the Community of Jesus in celebration of the tenth anniversary of the dedication of the Church of the Transfiguration in Orleans, MA. Since liturgical drama is the true “first love” of my writing life, I am deeply grateful for this opportunity to work again in that genre, and I covet your prayers, not just for the playwright, but for all of us ... the designers and musicians, dancers and actors, the director, the stage manager, and the technicians, in whose good hands the success of the productions now rests. They—all of them—are indeed dealers in beauty.
Copyright © 2010 Phyllis Tickle